### Material
<<<
Here is an isolated molecule of C19H21ClN2O3S in a non-equilibrium geometry from the OMol25 dataset. Energies are from wB97M-V/def2-TZVPD.

XYZ file:
```
47
Properties=species:S:1:pos:R:3:forces:R:3:nbo_charge:R:1
C 3.3196 3.5480 -0.2843 0.188 -0.061 -0.049 -0.6133
C 3.8249 2.6259 -1.3869 -0.032 0.104 0.187 -0.4173
C 2.6887 1.8598 -2.0404 0.076 -0.538 0.606 -0.6301
S 2.0655 0.5743 -0.9122 -0.036 0.404 -0.915 2.3051
O 1.2200 1.1717 0.0823 -0.272 0.081 -0.099 -0.9559
O 3.1838 -0.2079 -0.4685 0.146 -0.135 -0.227 -0.9507
N 1.1188 -0.3071 -1.9931 0.384 0.581 0.652 -0.6811
C 1.6519 -1.5959 -2.3841 0.486 -0.483 -0.004 -0.2154
C 1.5335 -2.6253 -1.2608 0.131 0.089 -0.090 -0.4519
C 0.1975 -2.5613 -0.5752 -0.074 -0.015 0.008 -0.0323
C -0.1884 -3.5795 0.2914 -0.111 0.080 -0.052 -0.1734
C -1.3595 -3.4986 1.0145 -0.075 0.091 -0.037 -0.2327
C -2.1818 -2.3816 0.8826 0.311 0.024 -0.511 0.1482
N -3.3221 -2.2639 1.6857 -0.257 -0.521 0.030 -0.6098
C -3.8128 -1.1522 2.3046 0.012 -0.061 0.014 0.6748
O -4.8302 -1.2060 2.9621 -0.121 0.151 0.076 -0.5850
C -3.0468 0.1199 2.1108 0.050 0.293 0.270 -0.1817
C -3.7094 1.2168 1.5695 0.039 -0.164 0.054 -0.1689
C -3.0414 2.4078 1.3517 -0.045 0.033 -0.052 -0.2206
C -1.7015 2.5184 1.6855 -0.012 -0.028 0.005 -0.2067
C -1.0370 1.4531 2.2661 -0.024 -0.062 -0.011 -0.1608
C -1.7129 0.2646 2.4864 -0.210 0.188 -0.027 -0.0253
Cl -0.8749 -1.0327 3.2581 0.212 -0.012 0.241 0.0223
C -1.8451 -1.4031 -0.0428 -0.026 -0.256 -0.031 -0.1830
C -0.6536 -1.4750 -0.7485 0.019 -0.178 0.117 -0.0480
C -0.2939 -0.3573 -1.6909 -0.447 0.240 0.091 -0.2415
H 2.6758 4.3212 -0.6988 -0.095 0.098 0.006 0.1993
H 4.1540 4.0284 0.2202 0.028 0.085 0.072 0.2132
H 2.7494 2.9776 0.4430 -0.028 0.101 0.148 0.2256
H 4.3570 3.2082 -2.1440 -0.028 -0.129 -0.021 0.2116
H 4.5195 1.8961 -0.9666 0.127 0.076 -0.102 0.2263
H 1.8394 2.4925 -2.2797 -0.162 0.014 -0.097 0.2328
H 3.0148 1.3170 -2.9227 -0.029 -0.061 -0.126 0.2362
H 2.6993 -1.4501 -2.6504 -0.049 -0.199 -0.152 0.2214
H 1.0993 -1.9221 -3.2710 0.058 0.088 0.025 0.2024
H 1.7124 -3.6291 -1.6521 0.015 0.010 -0.001 0.2188
H 2.3073 -2.4076 -0.5188 0.002 -0.131 -0.104 0.2444
H 0.4569 -4.4367 0.4157 0.074 -0.109 0.024 0.2115
H -1.6278 -4.2819 1.7080 -0.017 -0.065 0.119 0.2147
H -3.7651 -3.1281 1.9743 -0.024 0.213 0.008 0.4118
H -4.7530 1.1126 1.3121 -0.098 -0.008 -0.005 0.2288
H -3.5663 3.2468 0.9203 -0.039 0.068 -0.038 0.2181
H -1.1678 3.4382 1.5035 0.057 0.097 -0.016 0.2196
H 0.0047 1.5335 2.5289 0.098 -0.032 0.048 0.2324
H -2.4996 -0.5614 -0.2050 -0.070 0.082 -0.023 0.2149
H -0.5624 0.6005 -1.2431 -0.221 -0.107 -0.096 0.2429
H -0.8407 -0.4685 -2.6367 0.090 0.068 0.085 0.2082
```
Positions in Å, forces in eV/Å.

**Highest occupied orbital energy**: -0.3101 Eh
**Relative energy (zero: lowest compared OMol25 entry of this formula, charge and spin)**: 0.431 eV
**Total charge**: 0
**Gap between HOMO and LUMO**: 8.95 eV
**SMILES**: CCCS(=O)(=O)N1CCc2ccc(NC(=O)c3ccccc3Cl)cc2C1
**Total energy**: -52524.9278 eV

=====

1.
{
  "formula": "C48H56ClN8",
  "method": "ωB97M-V with the def2-TZVPD basis set",
  "energy_ha": -2758.06527,
  "homo_lumo_gap_ev": 7.12,
  "e_lumo_ev": -14.98,
  "largest_force_ev_per_a": 3.2,
  "spin_multiplicity": 1,
  "total_charge": 7,
  "symbols": ["C", "N", "C", "C", "C", "C", "C", "C", "C", "C", "N", "C", "C", "C", "H", "H", "H", "H", "H", "H", "H", "H", "H", "H", "H", "H", "H", "H", "C", "N", "C", "C", "C", "C", "C", "C", "C", "C", "N", "C", "C", "C", "H", "H", "H", "H", "H", "H", "H", "H", "H", "H", "H", "H", "H", "H", "C", "N", "C", "C", "C", "C", "C", "C", "C", "C", "N", "C", "C", "C", "H", "H", "H", "H", "H", "H", "H", "H", "H", "H", "H", "H", "H", "H", "C", "N", "C", "C", "C", "C", "C", "C", "C", "C", "N", "C", "C", "C", "H", "H", "H", "H", "H", "H", "H", "H", "H", "H", "H", "H", "H", "H", "Cl"],
>>>

### Exercise
Your job: find the line earlier on that holds "-0.5850", then quote that line and all lines after it there.

### Here it is
O -4.8302 -1.2060 2.9621 -0.121 0.151 0.076 -0.5850
C -3.0468 0.1199 2.1108 0.050 0.293 0.270 -0.1817
C -3.7094 1.2168 1.5695 0.039 -0.164 0.054 -0.1689
C -3.0414 2.4078 1.3517 -0.045 0.033 -0.052 -0.2206
C -1.7015 2.5184 1.6855 -0.012 -0.028 0.005 -0.2067
C -1.0370 1.4531 2.2661 -0.024 -0.062 -0.011 -0.1608
C -1.7129 0.2646 2.4864 -0.210 0.188 -0.027 -0.0253
Cl -0.8749 -1.0327 3.2581 0.212 -0.012 0.241 0.0223
C -1.8451 -1.4031 -0.0428 -0.026 -0.256 -0.031 -0.1830
C -0.6536 -1.4750 -0.7485 0.019 -0.178 0.117 -0.0480
C -0.2939 -0.3573 -1.6909 -0.447 0.240 0.091 -0.2415
H 2.6758 4.3212 -0.6988 -0.095 0.098 0.006 0.1993
H 4.1540 4.0284 0.2202 0.028 0.085 0.072 0.2132
H 2.7494 2.9776 0.4430 -0.028 0.101 0.148 0.2256
H 4.3570 3.2082 -2.1440 -0.028 -0.129 -0.021 0.2116
H 4.5195 1.8961 -0.9666 0.127 0.076 -0.102 0.2263
H 1.8394 2.4925 -2.2797 -0.162 0.014 -0.097 0.2328
H 3.0148 1.3170 -2.9227 -0.029 -0.061 -0.126 0.2362
H 2.6993 -1.4501 -2.6504 -0.049 -0.199 -0.152 0.2214
H 1.0993 -1.9221 -3.2710 0.058 0.088 0.025 0.2024
H 1.7124 -3.6291 -1.6521 0.015 0.010 -0.001 0.2188
H 2.3073 -2.4076 -0.5188 0.002 -0.131 -0.104 0.2444
H 0.4569 -4.4367 0.4157 0.074 -0.109 0.024 0.2115
H -1.6278 -4.2819 1.7080 -0.017 -0.065 0.119 0.2147
H -3.7651 -3.1281 1.9743 -0.024 0.213 0.008 0.4118
H -4.7530 1.1126 1.3121 -0.098 -0.008 -0.005 0.2288
H -3.5663 3.2468 0.9203 -0.039 0.068 -0.038 0.2181
H -1.1678 3.4382 1.5035 0.057 0.097 -0.016 0.2196
H 0.0047 1.5335 2.5289 0.098 -0.032 0.048 0.2324
H -2.4996 -0.5614 -0.2050 -0.070 0.082 -0.023 0.2149
H -0.5624 0.6005 -1.2431 -0.221 -0.107 -0.096 0.2429
H -0.8407 -0.4685 -2.6367 0.090 0.068 0.085 0.2082
```
Positions in Å, forces in eV/Å.

**Highest occupied orbital energy**: -0.3101 Eh
**Relative energy (zero: lowest compared OMol25 entry of this formula, charge and spin)**: 0.431 eV
**Total charge**: 0
**Gap between HOMO and LUMO**: 8.95 eV
**SMILES**: CCCS(=O)(=O)N1CCc2ccc(NC(=O)c3ccccc3Cl)cc2C1
**Total energy**: -52524.9278 eV

=====

1.
{
  "formula": "C48H56ClN8",
  "method": "ωB97M-V with the def2-TZVPD basis set",
  "energy_ha": -2758.06527,
  "homo_lumo_gap_ev": 7.12,
  "e_lumo_ev": -14.98,
  "largest_force_ev_per_a": 3.2,
  "spin_multiplicity": 1,
  "total_charge": 7,
  "symbols": ["C", "N", "C", "C", "C", "C", "C", "C", "C", "C", "N", "C", "C", "C", "H", "H", "H", "H", "H", "H", "H", "H", "H", "H", "H", "H", "H", "H", "C", "N", "C", "C", "C", "C", "C", "C", "C", "C", "N", "C", "C", "C", "H", "H", "H", "H", "H", "H", "H", "H", "H", "H", "H", "H", "H", "H", "C", "N", "C", "C", "C", "C", "C", "C", "C", "C", "N", "C", "C", "C", "H", "H", "H", "H", "H", "H", "H", "H", "H", "H", "H", "H", "H", "H", "C", "N", "C", "C", "C", "C", "C", "C", "C", "C", "N", "C", "C", "C", "H", "H", "H", "H", "H", "H", "H", "H", "H", "H", "H", "H", "H", "H", "Cl"],